Land use planning for the Mayan zone is published, giving the green light for the Mayan Train and the airport in Tulum


Growth in housing and other services is anticipated for the Military City, which is planned together with the air terminal. The projection contemplates an increase of 30% of the local population in a period of 5 to 7 years. 

Quintana Roo.- The Municipal Program for Territorial, Ecological and Sustainable Urban Development (PMOTEDUS) of the municipality of Felipe Carrillo Puerto (FCP) was published this Wednesday in the Official State Newspaper, which already provides for the construction of the station and the urban growth coupled with the Mayan Train, as well as the Tulum International Airport

Joel Ciau, director of urban development of the FCP city council, announced that the document, at the request of the National Fund for the Promotion of Tourism, assigns the corresponding land use focused on infrastructure on around 2,400 hectares to the north of the municipality, where the new air terminal. 

” Fonatur mentioned to us what these projects (the airport and the Mayan Train) require to generate this municipal ordinance,” said the official. 

It is anticipated, he said, growth in housing and other services for the Military City that is planned together with the air terminal

In fact, he announced that the document foresees an increase of 30% of the local population in a period of 5 to 7 years. 

Currently, the municipality’s population is 83,990 people, but it will grow rapidly due to the services that the new port and rail infrastructure will require, he added.  

Regarding the Mayan Train, he stated that the document designates a commercial and infrastructure land use over an area of ​​around 600 hectares for the station and subsequent urban development around the Mayan Train. 

He clarified that contrary to the rumors, the official information that Fonatur provided to the city council is that the train will have a single station in FCP and not two as had been released a few weeks ago. 

The use of commercial land assigned to the areas of influence of the Mayan Train, he said, aims to benefit the local population as artisans or producers of the field so that they can offer their products to tourism that will travel through the railroad, in addition, that the agricultural production of the municipality can be mobilized, as he recalled that the train will offer cargo service. 

It is, he said, the first urban planning instrument that the municipality of Felipe Carrillo Puerto has. 

What the document says

A query to the PMOTEDUS published yesterday in the Official State Newspaper reads that “planning conditions… can benefit seven nodal population centers spread throughout the municipal territory, which are the following: Felipe Carrillo Puerto (municipal seat) ; Tihosuco; Chunhuhub; Lord, Santa Isabel; Noh Bec; Muyil and José María Pino Suárez. 

Another extract from the document states that “some external actors could modify the growth trends (of the municipality). On the one hand, the Tren Maya Comprehensive Development Project could rearrange the population of the various localities and reduce emigration. 

# Misplaced quantum chemistry results
=====
4
Properties=species:S:1:pos:R:3:forces:R:3 method="wB97M-V/def2-TZVPD" multiplicity=1 homo_lumo_gap_ha="0.3564 / 0.3958" e_homo_ev="-11.4 / -10.6" total_charge=0 energy_ha=-213.63790
C 0.088 -0.072 0.550 -0.50 -0.87 0.87
O -0.206 -0.895 1.335 0.48 0.30 -0.70
F -0.407 1.144 0.525 0.02 0.57 -0.27
H 0.525 -0.177 -2.409 0.00 0.00 0.11

76
Properties=species:S:1:pos:R:3:forces:R:3 method="wB97M-V/def2-TZVPD" multiplicity=5 homo_lumo_gap_ha="0.2807 / 0.1792" e_homo_ev="-9.9 / -10.7" total_charge=+1 s2=6.052 energy_ha=-8148.34271
Pd -0.287 -0.162 0.835 -0.30 -0.72 0.06
S 2.124 -3.735 2.568 0.02 -0.05 0.07
C 2.523 -3.747 0.877 0.04 -0.11 0.01
C 3.358 -4.615 0.178 0.00 0.01 0.00
C 3.494 -4.424 -1.184 -0.02 0.03 0.01
C 2.812 -3.388 -1.837 0.01 0.01 0.01
C 1.981 -2.531 -1.144 0.06 0.05 -0.01
C 1.838 -2.720 0.228 -0.11 0.20 0.07
N 1.023 -1.972 1.074 0.28 0.14 -0.47
C 1.080 -2.381 2.305 -0.11 -0.05 0.22
C 0.255 -1.742 3.330 0.10 -0.19 -0.05
C 0.218 -2.170 4.656 -0.01 -0.04 0.10
C -0.653 -1.558 5.543 0.02 0.00 -0.06
C -1.490 -0.541 5.095 -0.01 -0.01 -0.02
C -1.440 -0.112 3.771 0.03 -0.01 0.11
C -0.553 -0.699 2.883 0.06 0.40 -0.20
H 3.885 -5.414 0.684 -0.01 0.02 -0.01
H 4.138 -5.083 -1.752 -0.01 0.02 0.01
H 2.940 -3.266 -2.905 0.00 0.00 0.02
H 1.433 -1.735 -1.633 -0.02 0.00 -0.02
H 0.859 -2.978 4.994 -0.03 0.01 -0.01
H -0.691 -1.881 6.575 0.00 0.00 -0.02
H -2.190 -0.081 5.783 0.03 -0.01 -0.01
H -2.101 0.681 3.439 0.00 0.01 0.01
N -1.218 7.200 -1.740 0.03 -0.06 0.03
C -1.517 5.910 -1.448 -0.01 0.05 -0.01
C -2.385 5.178 -2.281 -0.01 0.05 -0.04
C -2.689 3.871 -1.998 -0.01 -0.07 0.18
C -2.137 3.261 -0.864 0.21 0.22 -0.13
C -1.269 3.977 -0.026 -0.11 -0.06 -0.15
C -0.963 5.284 -0.316 0.02 0.03 0.00
S -2.481 1.614 -0.510 -0.27 0.07 0.08
O -3.746 1.201 -1.021 0.05 0.01 -0.05
O -2.172 1.389 0.893 0.02 0.04 -0.16
N -1.235 0.745 -1.237 -0.03 -0.09 -0.19
C -1.152 0.512 -2.570 -0.14 0.15 0.45
N -1.953 1.181 -3.426 0.14 -0.22 0.01
C -1.828 0.860 -4.698 0.10 -0.10 -0.01
C -0.921 -0.112 -5.132 -0.03 0.03 0.02
C -0.117 -0.714 -4.165 -0.08 0.04 -0.06
N -0.210 -0.405 -2.886 -0.08 0.10 -0.16
H -1.685 7.676 -2.489 -0.01 0.00 0.00
H -0.684 7.759 -1.099 0.00 0.01 0.00
H -2.822 5.660 -3.147 0.01 -0.01 0.03
H -3.365 3.312 -2.628 0.01 -0.03 0.00
H -0.870 3.504 0.860 0.00 -0.02 0.01
H -0.303 5.845 0.335 -0.02 -0.01 -0.01
H -2.464 1.384 -5.402 0.01 0.00 0.00
H -0.839 -0.374 -6.178 0.00 0.01 0.03
H 0.622 -1.460 -4.436 -0.01 -0.01 0.00
Br -3.447 -2.307 -3.128 -0.01 0.11 0.00
C -2.114 -3.477 -2.484 0.07 -0.08 -0.05
C -1.531 -4.358 -3.384 0.06 -0.06 0.01
C -0.560 -5.250 -2.952 -0.02 0.03 0.00
C -0.175 -5.271 -1.620 -0.04 -0.01 0.04
C -0.758 -4.393 -0.719 0.02 -0.12 -0.11
C -1.723 -3.492 -1.151 0.13 0.05 0.04
I -2.498 -2.182 0.259 -0.19 0.07 0.20
H -1.853 -4.349 -4.417 0.01 -0.01 0.02
H -0.113 -5.935 -3.661 -0.01 0.01 0.01
H 0.579 -5.968 -1.277 -0.02 0.03 -0.01
H -0.463 -4.403 0.323 -0.02 -0.02 -0.02
C 0.516 2.784 3.205 -0.19 0.06 0.01
Si 2.082 2.272 2.354 -0.06 -0.02 -0.12
=====

“However, this infrastructure will be present in various municipalities in the region, which limits the likelihood of regional immigration concentrated in Felipe Carrillo Puerto, although, of course, it does not eliminate it. On the other hand, the location of a new airport could orient new settlements with new inhabitants towards the limits between Felipe Carrillo Puerto and Tulum ”. 

The document divides the territory of FCP into nodal population centers for general and tourist services (localities A); nodal population centers of general services (localities B), and nodal population centers with relevant environmental or cultural values ​​(localities C).

Type A population centers are envisaged as nodes of general and tourist services with a vocation to house urban and tourist infrastructure; type B would be general service nodes of different hierarchy, susceptible to housing transport infrastructure oriented to their inhabitants, while type C population centers would constitute possible destinations for ecological and cultural tourism to the extent of the interest and organizational capacity of local actors various.


The Cancun Post